Whining on the public bedside – Utterance
Starting from the GGA-PBE geometry in Alexandria, the powder diffraction line list of K2Zn2Se2O was simulated for Cu Kα (weighted mean of Kα1 and Kα2).
Kinematic intensities with the Lorentz-polarization factor, no thermal factor.

Atomic structure:
Lattice parameters (Å, degrees): 12.3470 4.0549 7.6254 90.00 121.14 90.00
Space group C2/m (No. 12)
Inequivalent atoms, fractional coordinates:
K1 0.0496 0.0000 0.2942 x4
Zn1 0.1733 0.5000 0.0687 x4
Se1 0.1950 0.5000 0.7452 x4
O1 0.0000 0.5000 0.0000 x2

The 6 most intense peaks (10 to 90 degrees two-theta), in order of falling intensity:
- 33.70 deg, I 1000, (3 1 0)
- 29.39 deg, I 715, (1 1 1)
- 13.57 deg, I 671, (0 0 1)
- 32.74 deg, I 410, (1 1 -2)
- 16.78 deg, I 400, (2 0 0)
- 37.58 deg, I 372, (4 0 -3)

***

Starting from the GGA-PBE geometry in Alexandria, the powder diffraction line list of Sr3MnC2N6 was simulated for Cu Kα (weighted mean of Kα1 and Kα2).
Kinematic intensities with the Lorentz-polarization factor, no thermal factor.

Atomic structure:
Lattice parameters (Å, degrees): 5.3612 5.3612 6.4740 90.00 90.00 120.00
Space group P-3m1 (No. 164)
Inequivalent atoms, fractional coordinates:
Sr1 0.0000 0.0000 0.0000 x1
Sr2 0.3333 0.6667 0.6938 x2
Mn1 0.0000 0.0000 0.5000 x1
C1 0.3333 0.6667 0.2954 x2
N1 0.1848 0.3696 0.2944 x6

The 6 most intense peaks (10 to 90 degrees two-theta), in order of falling intensity:
- 33.75 deg, I 1000, (0 1 2)
- 33.43 deg, I 984, (1 1 0)
- 23.58 deg, I 586, (1 0 1)
- 48.24 deg, I 512, (2 0 2)
- 41.32 deg, I 437, (0 2 1)
- 59.96 deg, I 318, (1 2 2)

***

Starting from the GGA-PBE geometry in Alexandria, the powder diffraction line list of V6Re5Ge was simulated for Cu Kα (weighted mean of Kα1 and Kα2).
Kinematic intensities with the Lorentz-polarization factor, no thermal factor.

Atomic structure:
Lattice parameters (Å, degrees): 4.2877 6.1078 12.8417 90.00 90.00 90.00
Space group Immm (No. 71)
Inequivalent atoms, fractional coordinates:
V1 0.0000 0.2438 0.0000 x4
V2 0.0000 0.2528 0.3316 x8
Re1 0.0000 0.0000 0.1677 x4
Re2 0.0000 0.5000 0.1648 x4
Re3 0.0000 0.5000 0.5000 x2
Ge1 0.0000 0.0000 0.5000 x2

The 6 most intense peaks (10 to 90 degrees two-theta), in order of falling intensity:
- 42.01 deg, I 1000, (1 2 3)
- 42.19 deg, I 494, (2 0 0)
- 29.49 deg, I 366, (1 0 3)
- 29.24 deg, I 187, (0 2 0)
- 76.64 deg, I 166, (2 4 0)
- 76.95 deg, I 164, (3 2 3)

----------

1.
Computed X-ray powder pattern
Compound: DyZn7Ag5
Radiation: Cu Kα X-rays
Structure: a GGA-PBE-relaxed structure
Kinematic intensities with the Lorentz-polarization factor, no thermal factor.

Structure:
```
data_DyZn7Ag5
_chemical_formula_sum 'Dy2 Zn14 Ag10'
_symmetry_space_group_name_H-M 'I m m 2'
_symmetry_Int_Tables_number 44
_cell_length_a 5.4534
_cell_length_b 9.2042
_cell_length_c 9.1454
_cell_angle_alpha 90.00
_cell_angle_beta 90.00
_cell_angle_gamma 90.00
loop_
_symmetry_equiv_pos_as_xyz
'x,y,z'
'-x,-y,z'
'-x,y,z'
'x,-y,z'
'x+1/2,y+1/2,z+1/2'
'-x+1/2,-y+1/2,z+1/2'
'-x+1/2,y+1/2,z+1/2'

Recently, there has been a lot of debate of various kinds and from various political spokespersons about men not getting enough sex. Sad things. That people don’t get anything, I mean. It probably goes both ways. Because with every bunch of men who don’t get sex, there are a number of ladies who don’t get plowed over either. Where these political mouthpieces speculate that women will only sleep with men who have an education, wallet and direction in life, the woman has had her own speculations when they have felt unattractive. For ladies, it is mostly about appearance or behaviour-related speculation. Or – what I call speculation, many of these debaters have called “research shows”. In that sense, I can also use this term around women’s speculations: “Research shows” that women are more attractive to men sexually if they have a suitably trained hourglass-shaped body, and if they do not have too strong expressions. “Research also shows” that men like women to laugh at their jokes. Nevertheless, it has never become a political social problem when women with strong opinions, high IQ, or slightly different body types have not gained anything in the city. Historically, it wasn’t that long ago that it was inappropriate for women to have desires at all. Therefore, women have not had the practice of whining their way into bed, as men have a long tradition of doing. She with a slightly different shape who hasn’t gotten anything for a long time, because of what “research shows”, must wait patiently for a kind man who looks past the outside and allows himself to be seduced by the beauty that shines from within. The other, the noise bucket, must restlessly wait for a strong man who will not be broken by her intensity, strong expressions, loud laughter and the solid bones she has in her nose. However, the fact that the women who have the right profile for the male target group choose men with direction is, on the other hand, worthy of great debate. Before, a poor roe only had one sippeguri to deal with at a time. Now we’ve got a whole social movement of men sitting in public and laughing on the edge of their beds because they can’t have sex. Is it embarrassing? Yes, especially for those men who have managed to keep up with the development, those who have managed to get hooked on this century-long change in gender-cultural understanding and inclusion. But, women, isn’t it good that there was finally a men’s committee! For over a hundred years, Kjerringer has been defining and redefining what it means to be a woman, regularly and in step with societal changes. We have obviously argued about rights that Norwegian society supports today, but we have had “sewing clubs”. This means get-togethers with friends, political gatherings for women, women’s groups – no men allowed. We eagerly discussed questions such as: “Can I wear trousers and cut my hair?” Is it possible to be both feminine and strong? Can I be pretty and smart? Do I have to be funny if I have big curves and thick glasses?” and so on. Men may have thought we were talking about them at these women’s gatherings. Big reveal: We’ve been talking about ourselves. This is to find out who we are in this new world we have helped to create. Men have been extremely important in the fight for women’s rights, you can even go so far as to say that if it hadn’t been for men, we wouldn’t have had equality, because it was men who were in power, loved their women , changed the laws, later flagged for Women’s Day and eventually became really cool conversation partners. Therefore, it is sad if men have forgotten to look after themselves in this crazy period of metamorphic change of the last hundred years. Because together we have moved mountains. Maybe men haven’t had “sewing clubs”? Perhaps they have thought that a fishing trip is something similar. Which it isn’t, if you sit in silence, drink beer and enjoy nature. In that case, what has been missing is that men talk to each other about what it means to be a man and masculine in today’s current world. We, the foreknowers, would very much like you to get to the top of the mountain that you yourself have helped to move. So cheers for the men’s selection. An organization that can hopefully correspond to the sewing club, but in a more masculine way. Keep it up, but please stop whining at the public bedside. A little inside info about the modern woman: In our time, bedside whining is actually one of the things that is perceived as unmasculine and rather unsexy. Wow! Was it a bit mindblowing or not? In any case, women have also had a hard time being unsexy in their long period of gender balancing. You’re doing well guys, you’ll (literally) come back strong. A final tip: In addition to the men’s selection, talk together a bit, create a “fishing club”. Without fish, but with chatter. There are some of the guys who have really got the hang of it here. They have followed the class and caught up with social developments, solved that little Rubik’s cube about what it means to be masculine in an equal society. If I were you, I would muster up the courage to ask those guys there for advice. Published 20.07.2024, at 16.46
